CMSC 23700
Introduction to Computer Graphics

General Information

Course: CMSC 23700
Introduction to Computer Graphics
Instructor: Gordon Kindlmann
TA: Ross Girshick
Lectures: Tuesday & Thursday 1:30pm -- 2:50pm
Ryerson 251
Labs: Thursday (not Wednesday) 4:30pm -- 5:50pm
Mac Lab (the Macs)
Office hours: 
Kindlmann (Ryerson 161-B): Tuesday 3pm-4pm & Friday 1pm-2pm
Girshick (MacLab in Regenstein): Tuesday 4pm-5pm
Mailing list:
Pheonixforge: web:


This course aims to provide an introduction to the basic concepts and techniques of 3D computer graphics, with a focus on interactive rendering techniques, such as those found in computer games. These include: coordinate systems and transformations, surface appearance and shading, geometric modeling, level-of-detail, and efficiently using graphics hardware.

The course covers mathematical and programming aspects. The lectures, homework assignments and exam will focus on the mathematical and algorithmic foundations of computer graphics, while the lab sessions and programming projects focus on implementing these with modern (shader-based) OpenGL.

The lab section is a required part of the course. You are responsible for the material presented in lab, and lab time will sometimes be used for project demos.

Reading Assignments

These crystal structures were left in the article by mistake >
____________
For Mg5Rh2, a DFT-relaxed cell (GGA-PBE, Alexandria) gives the theoretical PXRD pattern in this record (Cu Kα, 1.54184 Å).

Principal peaks in the range 15° ≤ 2θ ≤ 90°, in order of rising 2θ:
Position (°2θ)  intensity
24.50  100
26.50  15
27.26  17
31.13  15
38.38  42
41.33  38
41.84  37
45.59  28
46.53  26
51.53  13

Crystal structure
```
Mg5Rh2
1.0
-3.363 6.544 2.873
3.363 -6.544 2.873
3.363 6.544 -2.873
Mg Rh
10 4
direct
0.017 0.250 0.767
0.082 0.654 0.736
0.250 0.250 0.000
0.418 0.154 0.572
0.483 0.250 0.233
0.517 0.750 0.767
0.582 0.846 0.428
0.750 0.750 0.000
0.918 0.346 0.264
0.983 0.750 0.233
0.123 0.265 0.388
0.377 0.765 0.141
0.623 0.235 0.859
0.877 0.735 0.612
```


Entry 1:
This entry pairs a crystal structure of Te2MoWSe2 with its calculated powder diffraction line list. Radiation: a wavelength of 1.5418 Å. Structure: a cell relaxed with PBE.
No peak broadening, texture or thermal motion is included.

Principal peaks in the range 2θ from 5° to 70°, by intensity:
(hkl), 2θ (°), d (Å), Rel. int.
0 0 5, 11.32, 7.820, 100.0
0 1 8, 35.30, 2.542, 90.0
1 0 13, 42.74, 2.116, 57.9
1 0 0, 30.04, 2.975, 52.5
1 1 0, 53.31, 1.718, 37.1
0 1 14, 44.48, 2.037, 21.0
0 0 3, 6.78, 13.033, 19.1
0 0 6, 13.59, 6.516, 18.5
0 1 9, 36.59, 2.456, 15.2
2 0 8, 65.56, 1.424, 14.6
1 0 5, 32.17, 2.782, 13.0
1 0 7, 34.13, 2.627, 12.4

Crystal structure
Cell: 3.4376 3.4376 39.0983 Å, 90.00 90.00 120.00°
Space group P3m1 (No. 156)
Inequivalent atoms, fractional coordinates:
Te  0.0000  0.0000  0.0000
Te  0.0000  0.0000  0.0954
Te  0.0000  0.0000  0.3760
Te  0.0000  0.0000  0.4709
Mo  0.0000  0.0000  0.8598
Mo  0.3333  0.6667  0.4235
W  0.0000  0.0000  0.2356
W  0.3333  0.6667  0.0478
Se  0.3333  0.6667  0.1936
Se  0.3333  0.6667  0.2775
Se  0.3333  0.6667  0.8180
Se  0.3333  0.6667  0.9017

Entry 2:
This entry pairs a crystal structure of Te2MoWSe2 with its calculated powder diffraction line list. Radiation: a wavelength of 1.5418 Å. Structure: a cell relaxed with PBE.
No peak broadening, texture or thermal motion is included.

Principal peaks in the range 2θ from 5° to 70°, by intensity:
(hkl), 2θ (°), d (Å), Rel. int.
0 0 5, 11.31, 7.824, 100.0
0 1 8, 35.31, 2.542, 88.1
1 0 13, 42.74, 2.116, 57.0
1 0 0, 30.06, 2.972, 53.6
1 1 0, 53.34, 1.717, 34.2
0 0 3, 6.78, 13.040, 22.1
0 0 6, 13.58, 6.520, 21.7
0 1 14, 44.48, 2.037, 21.2
2 0 8, 65.60, 1.423, 14.3
1 0 5, 32.19, 2.781, 12.9
1 1 5, 54.71, 1.678, 11.3
0 1 9, 36.60, 2.455, 10.4

Crystal structure
Cell: 3.4354 3.4354 39.1186 Å, 90.00 90.00 120.00°
Space group P-3m1 (No. 164)
Inequivalent atoms, fractional coordinates:
Te  0.3333  0.6667  0.2343
Te  0.3333  0.6667  0.3293
Mo  0.3333  0.6667  0.7182
W  0.3333  0.6667  0.0939
Se  0.3333  0.6667  0.8640
Se  0.3333  0.6667  0.9481

Entry 3:
This entry pairs a crystal structure of Te2MoWSe2 with its calculated powder diffraction line list. Radiation: a wavelength of 1.5418 Å. Structure: a cell relaxed with PBE.
No peak broadening, texture or thermal motion is included.
____________

Assigned on: Finish by: Reading:
Tue Jan 3 Tue Jan 10 RTR Chapter 1, 2, 3;
OSB Chapter 1
Tue Jan 10 Tue Jan 17 RTR Chapter 4 minus 4.3, App. A minus eigenvalue/eigenvector;
OSB Chapter 2 minus OS-specific and GLUT-specific info
Tue Jan 17 Thu Jan 26 RTR Chapters 5 and 6
OSB Chapters 3 and 5
Tue Jan 31 Thu Feb 9 RTR: Skim 7.{1,2,3}, and Read 7.{4,5}, 8, 9.1
OSB: Chapters 6 and 7
Tue Feb 14 Tue Feb 21 RTR: Section 4.3
(re-read RTR: Sections 5.6 and 5.7)
RTR: Sections 16.{1,2}, 16.{5,6,7,8}
Tue Feb 28 Tue March 13 RTR: Section 13.1
OSB: Chapters 8 and 10


Homework Assignments

Assigned on: Due: Assignment:
Fri Jan 6 Noon Fri Jan 12 homework-01.pdf (Solutions on Chalk)
Fri Jan 26 Noon Tue Feb 7 homework-02.pdf (Solutions on Chalk)
Tue March 6 6pm Tue March 13 homework-03.pdf

Programming Projects

Assigned on: Due: Assignment:
Wed Jan 11 10:00pm Wed Jan 25 project-01.pdf
Thu Feb 2 6:00pm Fri Feb 17 project-02.pdf
Thu Feb 22 6:00pm Fri March 2 project-03.pdf


Handouts distributed in class or online, possibly with revisions:

Date Handout
January 3 handout-01-courseinfo.pdf: Course information
January 16 handout-02-projections.pdf: Deriving View and Projection Transforms (file on Chalk in "Course Documents")
February 15 handout-03-slerp.pdf: Deriving Slerp (file on Chalk in "Course Documents")


Trigonometry, linear algebra, and matrix operations (on 3x3 and 4x4 matrices) will be reviewed briskly; some familiarity with these will be important. You should be able to create and debug non-trivial C programs, as this skill will not be taught in lectures or labs.

Text books

There are two required texts:

Title: Real-time Rendering (3rd Edition) [called "RTR" in these pages]
Authors: Tomas Akenine-Möller, Eric Haines, and Naty Hoffman
Publisher: A.K. Peters Ltd., 2008
Book web site:
Title: OpenGL SuperBible: Comprehensive Tutorial and Reference (5th Edition) [called "OSB" in these pages]
Authors: Richard S. Wright, Nicholas Haemel, Graham Sellers, Benjamin Lipchak
Publisher: Addison Wesley, 2011
Book web site:

The programming assignments will be written using the C programming language. If you do not have a good C manual, we recommend the following:

Title: C -- A Reference Manual (5th Edition)
Authors: Samuel P. Harbison and Guy L. Steele Jr.
Publisher: Prentice Hall, 2002

We have requested that a copy of the Real-time Rendering text be placed on reserve in the Eckhart Library.


There will be homework assignments, programming projects, and a midterm exam (middle of February). The final project will be a group project (up to two-people per group). Grading will be based on following approximate weights:

Percentage Component
20% Homework assignments
30% Midterm Exam
50% Projects
The extent of your thoughtful class participation (asking and answering questions) will also be a factor.

Homeworks and programming projects will be posted on the class website and announced via email to the class list. Both will be handed in by you via pheonixforge.

Late programming projects will be docked 12% every 6 hours, in increments of 6 hours, based on the clock on the pheonixforge server. After 72 hours the project will receive a zero. There is no similar leniency with homework assignments. However, each student is allotted one 24-hour extension on one homework assignment or one individual programming project. You must request the extension at least 24 hours before the deadline.

Programming project grades will consist of a correctness portion (worth 75%) and a style portion (worth 25%). Your code must compile. Failure to compile will result in a 0 for the correctness portion of the grade.


The lectures are expected to cover the following topics:

Though most topics covered in class are also described in the main text, class lectures and additional readings will also present required information. Slides from class will be made available on Chalk, but these will not be a substitute for taking notes in class (i.e. you need to come to class).

Academic Honesty

The University of Chicago is a scholarly academic community. You need to both understand and internalize the ethics of our community. A good place to start is with the Cadet's Honor Code of the US Military Academy: "A Cadet will not lie, cheat, or steal, or tolerate those who do." It is important to understand that the notion of property that matters most to academics is ideas, and that to pass someone else's ideas off as your own is to lie, cheat, and steal.

The University has a two-paragraph formal policy on Academic Honesty and Plagiarism, which you should read and understand.

We believe that student interactions are an important and useful means to mastery of the material. We recommend that you discuss the material in this class with other students, and that includes the homework assignments. So what is the boundary between acceptable collaboration and academic misconduct? First, while it is acceptable to discuss homework, it is not acceptable to turn in someone else's work as your own. When the time comes to write down your answer, you should write it down yourself from your own memory. Moreover, you should cite any material discussions, or written sources, e.g.,

Note: I discussed this exercise with Jane Smith.

The University's policy says less than it should regarding the culpability of those who know of misconduct by others, but do not report it. An all too common case has been where one student has decided to "help" another student by giving them a copy of their assignment, only to have that other student copy it and turn it in. In such cases, we view both students as culpable and pursue disciplinary sanctions against both.

For the student collaborations, it can be a slippery slope that leads from sanctioned collaboration to outright misconduct. But for all the slipperiness, there is a clear line: present only your ideas as yours and attribute all others. If you have any questions about what is or is not proper academic conduct, please ask your instructors.

## These crystal structures were left in the page by mistake
........
Structure and computed powder diffractogram of NbPHO5 (a crystal structure in the Materials Project, relaxed with PBE; Cu Kα, 1.54184 Å).
Intensities are scaled so that the largest is 100.

Crystal structure
```
data_NbPHO5
_cell_length_a 5.3673
_cell_length_b 5.4509
_cell_length_c 7.7012
_cell_angle_alpha 109.70
_cell_angle_beta 105.63
_cell_angle_gamma 97.42
_space_group_name_H-M_alt 'P -1'
_space_group_IT_number 2
loop_
_space_group_symop_operation_xyz
'x,y,z'
'-x,-y,-z'
loop_
_atom_site_label
_atom_site_fract_x
_atom_site_fract_y
_atom_site_fract_z
Nb1 0.0000 0.0000 0.0000
Nb2 0.5000 0.5000 0.5000
P1 0.0563 0.3765 0.7282
H1 0.4709 0.8109 0.8339
O1 0.1178 0.1934 0.8410
O2 0.1544 0.6760 0.8757
O3 0.2009 0.3297 0.5769
O4 0.2491 0.6893 0.3782
O5 0.3791 0.1873 0.2184
```

Top 10 peaks for 10° ≤ 2θ ≤ 90°, low angle first:
2θ (°), d (Å), intensity, h k l
17.49, 5.072, 99, 0 1 -1
18.10, 4.901, 87, 1 0 -1
21.89, 4.060, 54, 1 -1 0
25.30, 3.521, 88, 1 0 1
25.93, 3.437, 100, 0 1 1
26.07, 3.418, 29, -1 1 1
28.27, 3.157, 79, 1 1 -2
33.50, 2.675, 28, 1 -1 2
35.63, 2.520, 32, 1 -2 1
53.85, 1.702, 29, 2 0 -4
........

Thanks to Stuart Kurtz and John Reppy for the above exposition of this essential information.